Brief:
Repeat the lines further down from the one with "5.393" to the one with "-8.718 -4.045" exactly.
File:
........
Entry w
A 3-piece molecular cluster, C3H11O3S2 overall, computed with ωB97M-V/def2-TZVPD.

Summary:
orbital gap: 6.276 eV
LUMO level: 3.38 eV
highest occupied orbital energy: -2.8916 eV
total charge: -1

Geometry as XYZ:
```
19
Properties=species:S:1:pos:R:3:nbo_charge:R:1
C 0.029 -0.499 1.871 -0.43
C 1.503 -0.340 1.190 -0.08
O 2.254 -1.450 1.432 -0.74
C -0.886 -1.549 1.063 -0.55
S -1.900 -0.633 -0.141 0.00
S -0.694 0.332 -1.409 -0.79
H -0.422 0.432 2.019 0.21
H 0.169 -0.912 2.960 0.18
H 1.441 -0.094 0.092 0.21
H 2.176 0.418 1.589 0.16
H -1.565 -2.089 1.688 0.21
H -0.354 -2.285 0.450 0.19
H -0.239 1.508 -3.935 0.48
H 0.098 0.160 -4.281 0.48
H 2.126 -2.132 0.708 0.46
O 0.096 1.041 -4.745 -0.96
H -1.694 2.783 -0.865 0.48
H -0.784 2.251 0.274 0.49
O -1.353 3.058 0.038 -0.99
```

Entry x
A 3-piece molecular cluster, C3H11O3S2 overall, computed with ωB97M-V/def2-TZVPD.

Summary:
orbital gap: 6.714 eV
LUMO level: 3.49 eV
highest occupied orbital energy: -3.2199 eV
total charge: -1

Geometry as XYZ:
```
19
Properties=species:S:1:pos:R:3:nbo_charge:R:1
C -0.651 1.391 0.672 -0.43
C 0.321 0.468 1.369 -0.09
O -0.408 -0.400 2.223 -0.76
C -1.533 0.745 -0.465 -0.57
S -0.748 0.829 -2.069 0.00
S 0.466 -0.881 -2.094 -0.73
H -0.215 2.253 0.161 0.20
H -1.305 1.803 1.464 0.18
H 0.967 0.052 0.576 0.21
H 0.989 1.016 2.042 0.16
H -2.560 1.117 -0.464 0.21
H -1.490 -0.340 -0.288 0.23
H -1.043 -3.414 0.015 0.45
H -0.314 -2.343 -0.543 0.50
H -0.510 -1.277 1.836 0.50
O -0.435 -2.741 0.369 -1.00
H 2.299 -0.013 -1.581 0.48
H 3.031 1.259 -1.894 0.45
O 3.137 0.475 -1.330 -1.00
```

Energies, relative to the best one, in kJ/mol: entry w 87.5; entry x 0.0.

* * * * *

A cluster of 2 separate species, C37H54F2N5O9 in total, computed with wB97M-V/def2-TZVPD.

The geometry in XYZ format:
```
107
C37H54F2N5O9 | the Open Molecules 2025 dataset | wB97M-V/def2-TZVPD
C -3.514 -0.922 -1.062
C -3.291 0.096 0.058
C -1.934 -0.065 0.761
C -1.263 1.269 1.081
N 0.144 1.109 1.462
C 1.216 0.976 0.484
C 0.763 1.138 -0.978
C 1.494 0.340 -2.068
C 3.011 0.450 -2.092
O 1.092 -1.024 -1.985
O 1.777 -0.338 0.549
C 2.401 -0.765 1.698
F 3.128 -1.847 1.318
C 1.343 -1.239 2.739
O 1.685 -2.464 3.344
O 1.832 -2.219 4.763
C 3.496 0.237 2.194
F 4.517 0.213 1.287
C 4.003 -0.060 3.588
C 4.792 -1.367 3.799
O 4.950 -1.496 5.207
C 6.203 -1.366 3.195
N 6.348 -2.107 1.946
N 3.009 1.684 2.100
C 4.111 2.671 2.352
C 3.713 3.690 3.436
O 4.150 4.796 3.408
N 2.786 3.169 4.400
C 1.669 4.107 4.661
C 3.493 2.737 5.627
C 2.306 2.007 0.790
C 1.748 3.435 0.885
C 2.434 4.508 0.050
O 2.593 5.609 0.484
N 2.770 4.099 -1.285
C 4.235 4.074 -1.444
C 2.132 4.974 -2.290
H -2.603 -1.066 -1.648
H -3.824 -1.893 -0.674
H -4.299 -0.596 -1.743
H -3.382 1.109 -0.349
H -4.088 -0.012 0.796
H -1.262 -0.669 0.142
H -2.059 -0.606 1.703
H -1.762 1.724 1.940
H -1.394 1.968 0.247
H 0.377 1.748 2.208
H 0.817 2.194 -1.254
H -0.279 0.844 -1.064
H 1.122 0.771 -3.005
H 3.319 1.499 -2.102
H 3.394 -0.018 -3.000
H 3.462 -0.063 -1.243
H 0.811 -1.326 -2.854
H 0.415 -1.363 2.185
H 1.160 -0.493 3.513
H 2.028 -3.126 5.045
H 3.151 -0.066 4.269
H 4.657 0.738 3.934
H 4.237 -2.221 3.407
H 4.076 -1.635 5.590
H 6.853 -1.800 3.957
H 6.530 -0.336 3.025
H 6.405 -1.493 1.147
H 5.574 -2.738 1.782
H 2.386 1.836 2.919
H 4.375 3.204 1.445
H 4.994 2.128 2.680
H 0.710 3.599 4.546
H 1.729 4.511 5.672
H 1.705 4.956 3.978
H 4.524 2.467 5.393
H 3.509 3.542 6.362
H 3.006 1.865 6.062
H 3.081 1.959 0.026
H 0.712 3.422 0.536
H 1.708 3.803 1.914
H 4.710 3.612 -0.576
H 4.490 3.480 -2.320
H 4.655 5.079 -1.552
H 1.198 4.530 -2.638
H 2.793 5.075 -3.149
H 1.941 5.973 -1.894
C -8.579 -4.205 -1.133
C -9.489 -4.981 -1.843
C -9.314 -5.192 -3.200
C -8.228 -4.624 -3.855
C -7.318 -3.839 -3.145
C -7.497 -3.636 -1.781
C -6.155 -3.201 -3.824
O -5.357 -2.529 -3.201
C -6.009 -3.411 -5.292
C -4.957 -2.797 -5.960
C -4.798 -2.985 -7.322
C -5.687 -3.792 -8.024
C -6.738 -4.406 -7.364
C -6.905 -4.216 -5.998
C -8.055 -4.877 -5.315
O -8.820 -5.591 -5.924
H -8.718 -4.045 -0.071
........
Solution:
H 4.524 2.467 5.393
H 3.509 3.542 6.362
H 3.006 1.865 6.062
H 3.081 1.959 0.026
H 0.712 3.422 0.536
H 1.708 3.803 1.914
H 4.710 3.612 -0.576
H 4.490 3.480 -2.320
H 4.655 5.079 -1.552
H 1.198 4.530 -2.638
H 2.793 5.075 -3.149
H 1.941 5.973 -1.894
C -8.579 -4.205 -1.133
C -9.489 -4.981 -1.843
C -9.314 -5.192 -3.200
C -8.228 -4.624 -3.855
C -7.318 -3.839 -3.145
C -7.497 -3.636 -1.781
C -6.155 -3.201 -3.824
O -5.357 -2.529 -3.201
C -6.009 -3.411 -5.292
C -4.957 -2.797 -5.960
C -4.798 -2.985 -7.322
C -5.687 -3.792 -8.024
C -6.738 -4.406 -7.364
C -6.905 -4.216 -5.998
C -8.055 -4.877 -5.315
O -8.820 -5.591 -5.924
H -8.718 -4.045 -0.071